Not all defenders are like Franz Beckenbauer, Paolo Maldini, Franco Baresi, Alesssandro Nesta, Lilian Thuram, Jaap Stam, or Javier Zanetti to name a few. Not all anticipate. Not all play clean. Not all play the ball.
Most play the man.
They have been taught by experience and by the instructions their coaches have been giving them for years that they need to stop the opposite number by whatever means possible. And if that means a shirt tug, a nudge just as he was getting ready to jump, holding on to his shorts or even wrestling him to the ground – it was fine.
But you had to be shrewd about it. One couldn’t just foul them blatantly. You had make sure the referee was far away or not looking that way. Do that and then feign ignorance. There was no way to turn back time. The linesmen are too far away to get a clear look at what is happening. Essentially, one could get away with a lot. Playing ugly was an art – a dark art.
But with the advent of the Video Assistant Referee (VAR), defenders can’t get away with anything. If the referee isn’t sure about what happened, he can just go to the sideline and ascertain which player is speaking the truth. The 2018 World Cup has already seen 22 penalties being given in total. Seventeen of them were converted but that isn’t the point.
(Inserted here: materials data)
********
No. 1
Compound: DyAs
Source: the Materials Project
Functional: PBE
Structure: optimized geometry Values from VASP.

Geometry as Quantum ESPRESSO input:
```
&SYSTEM
  ibrav = 0, nat = 2, ntyp = 2
/
ATOMIC_SPECIES
Dy 162.50 Dy.upf
As 74.92 As.upf
ATOMIC_POSITIONS crystal
Dy 0.000 0.000 0.000
As 0.500 0.500 0.500
CELL_PARAMETERS angstrom
0.000 2.913 2.913
2.913 0.000 2.913
2.913 2.913 0.000
```

***

No. 2
! PBE Dy3As, optimized geometry; values from VASP
&SYSTEM
  ibrav = 0, nat = 4, ntyp = 2
/
ATOMIC_SPECIES
Dy 162.50 Dy.upf
As 74.92 As.upf
ATOMIC_POSITIONS crystal
Dy 0.000 0.000 0.000
Dy 0.250 0.750 0.500
Dy 0.750 0.250 0.500
As 0.500 0.500 0.000
CELL_PARAMETERS angstrom
-2.246 2.246 5.143
2.246 -2.246 5.143
2.246 2.246 -5.143
! Magnetic moment   0.0 μB per formula unit

***

Result set for DFT total energy: -6.16; -5.02 eV per atom, one per record in the order listed.
Result set for E_form: -1.53; -0.40 eV/atom, one per record in the order listed.

* * * * *

[1]
# MgIn2S4

MgIn2S4 after structural relaxation (PBE, the Materials Project database).

* space-group type: Pca2_1 (29)
* DFT total energy: -4.06 eV per atom
* total moment: 0.0 μB/f.u.
* energy of formation from the pure elements: -0.9679 eV/atom
* calculated density: 4.337 Mg/m³

POSCAR file:
```
MgIn2S4
1.0
12.406 0.000 0.000
0.000 7.436 0.000
0.000 0.000 12.692
Mg S In
8 32 16
Cartesian
7.577 4.630 8.831
4.621 6.538 10.379
10.824 0.898 10.379
1.582 6.538 4.033
1.374 2.806 8.831
11.031 4.630 2.485
4.829 2.806 2.485
7.785 0.898 4.033
0.349 2.868 1.878
5.854 2.868 8.224
2.883 0.955 9.871
8.843 0.914 6.451
11.897 0.907 8.047
8.928 4.632 6.566
5.694 6.529 8.047
9.483 2.747 3.532
9.522 6.480 3.524
2.923 4.689 9.878
5.982 6.547 4.726
6.464 4.689 11.207
12.057 4.568 8.224
12.145 4.689 4.861
12.185 0.889 4.726
3.319 0.955 3.524
3.280 4.689 3.532
5.942 2.747 4.861
9.125 2.747 9.878
6.423 0.889 11.072
3.563 6.522 0.105
9.086 6.480 9.871
9.766 0.914 0.105
0.261 2.747 11.207
0.509 6.529 1.701
6.552 4.568 1.878
0.221 6.547 11.072
2.640 6.522 6.451
2.725 2.804 6.566
3.478 2.804 0.220
6.712 0.907 1.701
9.680 4.632 0.220
1.744 0.915 12.478
10.639 2.755 5.996
7.947 6.521 12.478
7.497 0.879 8.668
11.111 0.879 2.321
1.565 2.827 4.140
1.294 6.557 8.668
1.766 4.681 12.342
4.638 2.827 10.486
10.662 6.521 6.132
4.909 6.557 2.321
10.841 4.609 10.486
4.459 0.915 6.132
7.969 2.755 12.342
7.767 4.609 4.140
4.436 4.681 5.996
```


[2]
# MgTiInS4

MgTiInS4 after structural relaxation (PBE, the Materials Project database).

* space-group type: C2/c (15)
* DFT total energy: -5.15 eV per atom
* total moment: 1.0 μB/f.u.
* energy of formation from the pure elements: -1.3271 eV/atom
* calculated density: 3.452 Mg/m³

POSCAR file:
```
MgTiInS4
1.0
1.435 7.027 -2.581
-4.142 5.858 2.404
2.850 5.260 4.638
S Mg Ti In
8 2 2 2
Cartesian
1.472 7.089 3.231
-1.939 7.382 2.141
0.714 7.892 -0.098
-1.330 11.059 1.229
0.078 13.436 3.386
-0.570 10.251 4.557
0.065 4.709 1.075
2.081 10.763 2.320
0.128 15.872 3.889
0.015 2.275 0.571
********
Rather, what led to those penalties is. Take for instance, the penalty that came about as a direct result of Javier Mascherano’s actions during the Argentina-Nigeria game on Tuesday. He was penalised for holding on to and taking down Balogun. The Argentine had his arms around Balogun, a common tactic used to restrict movement, especially during set pieces. Almost every defender does that and it was fine in the pre-VAR era.
But now, if the attacker tries to burst through those arms (which they will), it will almost always lead to a foul. The first reaction to someone trying to break out of the cage will be to strengthen your arms and keep him trapped inside. But if the attacker continues to push, it will almost always result in a foul. If it happens to be inside the box, it could lead to a yellow card or a penalty or even a red card. All three outcomes are trouble.
That Sergio Ramos tackle from the Champions League final might have had a different, more damning outcome for Real Madrid too if VAR was being used then. There are so many other incidents that we can think of in this tournament alone which show that unless defenders can clean up their act, they will often cause the downfall of their team.

During the 2014 World Cup in Brazil, only 13 penalties were awarded in the entire tournament. The reason for ‘low’ number came down to evidence. The referee would not give a potentially game-changing decision unless he was absolutely sure. Now, they have the opportunity to be absolutely sure about any decision they give. For the referees, it is a huge plus.
Back to pure defending
But for defenders, it is nothing less than a bat out of hell. Football has never championed quality defending the way it lauds attacking flair. The goal-scorers are the darlings – they earn the biggest bucks, they score the goals, they are loved by the fans. The game was always skewed in their favour.
The problem now is that defenders need to unlearn the dark arts and go back to being pure defenders. They will have to anticipate, position themselves better and get there before the attackers. They would have probably realised that as well but when the going gets tough, they will revert to form.
That is exactly what happened to Mascherano and so many other defenders. How easy is it to forget things that you have taken decades to master? How easy to cut away a huge chunk of your technique?
To become a great defender, you have to play against the greatest in the world and be better than them… not once… not twice but for an entire game… for an entire season. And the one ingredient you need to be able to do that is not height, or speed or even ball skills. Rather, it boils down to confidence.
But VAR will leave them feeling unsure. It will plant a seed of doubt in their minds and that means they will hesitate. The difference between being aggressive and being dirty is minimal. Sometimes you cross the line. And now that will be caught. It makes an already difficult job, tougher still.

The big area of change will be the defending inside a box. In open play, it is a bit easier. The attacker doesn’t set up and you can outrun or out-think them. But in a set-piece is different and now, very, very dangerous. Of the 38 goals scored in the opening round of matches 21 of them (53%) were scored from free-kicks, corners or from the spot.
That is a huge number and much higher than one we are used to seeing in club football (where VAR is not used) but also one that highlights how difficult it is to adapt to this change at short notice. Going into the knockout rounds, the problem is only going to be the subject of even greater focus given that unlike the group stages where teams had a chance of making a comeback, there is no safety net now.
No team can win a World Cup without a good defence but given what we have seen so far, the idea of a good defender is going to radically change in the coming days. It make take some time to get things right, but in the long run – it could mean a return to the golden age of defending.